Are transactions in a batch serialized? - nearprotocol

if I send a transaction with 2 contract fn calls, does the 2nd gets executed if the 1st fails?
sample code:
const actions = [
TX.functionCall("select_staking_pool", { staking_pool_account_id: stakingPool }, this.BASE_GAS.muln(3), new BN(0)),
TX.functionCall("deposit_and_stake", { amount: near.ntoy(amountNear) }, this.BASE_GAS.muln(5), new BN(0))
return near.broadcast_tx_commit_actions(actions, sender, lockupContract, privateKey)
I did execute this batch, but the result gives me no clear answer:
The 1st fn call code uses cross-contract calls and a callback code to check if the contract is whitelisted, but I can't see the callback's log code in the receipt logs. I assume the 1st call fails because the second fails with the error: "staking pool is not selected"
Here's the full result:
"status": {
"Failure": {
"ActionError": {
"index": 1,
"kind": {
"FunctionCallError": {
"HostError": {
"GuestPanic": {
"panic_msg": "panicked at 'Staking pool is not selected', src/"
"transaction": {
"signer_id": "lucio.testnet",
"public_key": "ed25519:Cvqie7SJ6xmLNA5KoTAYoUAkhD25KaJLG6N9oSmzT9FK",
"nonce": 33,
"receiver_id": "274e981786efcabbe87794f20348c1b2af6e7963.lockupy.testnet",
"actions": [
"FunctionCall": {
"method_name": "select_staking_pool",
"args": "eyJzdGFraW5nX3Bvb2xfYWNjb3VudF9pZCI6Im5vcnRoZXJubGlnaHRzLnN0YWtpbmdwb29sIn0=",
"gas": 75000000000000,
"deposit": "0"
"FunctionCall": {
"method_name": "deposit_and_stake",
"args": "eyJhbW91bnQiOiIxMDk0OTkwMDAwMDAwMDAwMDAwMDAwMDAwMDAwIn0=",
"gas": 125000000000000,
"deposit": "0"
"signature": "ed25519:gzCsrcobVtjuD6FE4qDhgo9zdk2feBp6dfa66NZYLPTnwypF7g8mDM7yubcnkVcF1sPzEFeEfJtQ4hwwnhrxTa6",
"hash": "EjiQBjzF6Ea74wSHkjmZMkhTGwgYxbUdeVKUvzaA8X7k"
"transaction_outcome": {
"proof": [],
"block_hash": "3xEuw43E1W4FP2q1Un6XLsDSbhRc7c7FMtGWWL6i3KJj",
"id": "EjiQBjzF6Ea74wSHkjmZMkhTGwgYxbUdeVKUvzaA8X7k",
"outcome": {
"logs": [],
"receipt_ids": [
"gas_burnt": 4748079879222,
"tokens_burnt": "474807987922200000000",
"executor_id": "lucio.testnet",
"status": {
"SuccessReceiptId": "75pJCVuheYCjX82RspQzoKm5v7NSG1QNUaPK7DRzZYNt"
"receipts_outcome": [
"proof": [
"hash": "55YXLhqDc63f8n4MdZNwi6TdmtFkaYp18wKwm7qFmDo5",
"direction": "Left"
"block_hash": "DB3p49tiSBfRLv5diDUStajtDiMNs2KroKfRcr2cQDnV",
"id": "75pJCVuheYCjX82RspQzoKm5v7NSG1QNUaPK7DRzZYNt",
"outcome": {
"logs": [
"Selecting staking pool #northernlights.stakingpool. Going to check whitelist first."
"receipt_ids": [
"gas_burnt": 20291176638173,
"tokens_burnt": "2029117663817300000000",
"executor_id": "274e981786efcabbe87794f20348c1b2af6e7963.lockupy.testnet",
"status": {
"Failure": {
"ActionError": {
"index": 1,
"kind": {
"FunctionCallError": {
"HostError": {
"GuestPanic": {
"panic_msg": "panicked at 'Staking pool is not selected', src/"
"proof": [],
"block_hash": "2kua8s7vjix2MiMHZ7Rzbrhyv8UbGFEpvWeT67H2qCYM",
"id": "HXStMQuf5aWKVpWDM1Hf4EdA3S4FLTGjmYaF2WAYRcUz",
"outcome": {
"logs": [],
"receipt_ids": [],
"gas_burnt": 0,
"tokens_burnt": "0",
"executor_id": "lucio.testnet",
"status": {
"SuccessValue": ""
Edit: PS. It looks like the 1st function call was failing silently (regarding Tx result). I tested the same calls as 2 separate transactions and the 1st one (select_staking_pool) succeeded.

All later actions after the first failed action are not executed. And their execution fees are refunded. All the changes that were successfully executed before, will be reverted and all the promises will not be scheduled and executed either.
Your case is more complicated, because the first action succeeds by returning a promise. The resulting promise later will fails in the callback, but the second action fails immediately, because the staking pool is not selected yet due to async execution. So the first promise doesn't get scheduled.
Once a transaction or a receipt succeeds (finishes all actions) it doesn't rollback anything. So if any future promises fail they are going to be independently executing from each other. Also only the last action in a batch of actions returns the result for the entire receipt.


Unable to start AWSFIS-Run-CPU-Stress

While running AWSFIS-Run-CPU-Stress i am getting below error:
Unable to start action, due to a platform mismatch between the specified document and the targeted instances. I am trying this in Windows EC2 instance
My Experiment script look like this(removed confidential server info):
"description": "Test CPU stress predefined SSM document",
"targets": {
"testInstance": {
"resourceType": "aws:ec2:instance",
"resourceArns": [
"selectionMode": "ALL"
"actions": {
"runCpuStress": {
"actionId": "aws:ssm:send-command",
"parameters": {
"documentArn": "arn:aws:ssm:region::document/AWSFIS-Run-CPU-Stress",
"documentParameters": "{\"DurationSeconds\":\"120\"}",
"duration": "PT5M"
"targets": {
"Instances": "testInstance"
"stopConditions": [
"source": "aws:cloudwatch:alarm",
"value": "arn:aws:cloudwatch:region:123456789012:alarm:awsec2-instance_id-GreaterThanOrEqualToThreshold-CPUUtilization"
"roleArn": "arn:aws:iam::123456789012:role/AllowFISSSMActions",
"tags": {}

NEAR transaction without receipt but with receipt_outcome

When querying archival node for transactions with EXPERIMENTAL_tx_status method, some transactions have no receipts while having receipts_outcome. How is that possible, and how is that transaction different from others?
If I understand correctly, receipts_outcome are the results of applying receipts. According to explorer, this transaction has Convert Transaction To Receipt part, so there should be some receipts generated.
According to documentation
A Receipt is the only actionable object in the system. When we talk about "processing a transaction" on the NEAR platform, this eventually means "applying receipts" at some point.
A good mental model is to think of a Receipt as a paid message to be executed at the destination (receiver). And a Transaction is an externally issued request to create the Receipt (there is a 1 to 1 relationship).
My query
"jsonrpc": "2.0",
"id": "2",
"method": "EXPERIMENTAL_tx_status",
"params": ["7beNxrbHxMRspJWT9NeEVwx719kVcmY9tRdPG9SYro26", "bumbleee99.near"]
"jsonrpc": "2.0",
"result": {
"status": {
"SuccessValue": ""
"transaction": {
"signer_id": "bumbleee99.near",
"public_key": "ed25519:DFM5GRGbpNkk4XkhcFnRUFeKG8a3nzTH8NwZp754pC48",
"nonce": 59080995000003,
"receiver_id": "bumbleee99.near",
"actions": [
"AddKey": {
"public_key": "ed25519:CUoNs153GHrPZ9F8HpvhzFr1mwuUFUdGQsRNE2CTNjVH",
"access_key": {
"nonce": 0,
"permission": "FullAccess"
"signature": "ed25519:15v34qoyCHSvSL5uLcaPqD9vXvjcPrCaZVStCMms8e58C62z2UHiazwUXzHajPEgdHpwn7s4J9dd5UPmtvzbYgM",
"hash": "7beNxrbHxMRspJWT9NeEVwx719kVcmY9tRdPG9SYro26"
"transaction_outcome": {
"proof": [
"hash": "ECKDm5FVhzit7Wqs9sEyBB9NtuTrVRZmWwcxkkg2yUh4",
"direction": "Right"
"hash": "E4VXdwsNj3fZCbP6y9YH3M5oZHPDcdArqU9kbZJa95Qp",
"direction": "Right"
"block_hash": "ASY6HgDUQUXUa99L7dPEfghKEnEk5SNkwQrx24u3Fobz",
"id": "7beNxrbHxMRspJWT9NeEVwx719kVcmY9tRdPG9SYro26",
"outcome": {
"logs": [],
"receipt_ids": [
"gas_burnt": 209824625000,
"tokens_burnt": "20982462500000000000",
"executor_id": "bumbleee99.near",
"status": {
"SuccessReceiptId": "JDnBrxh6L9KFgVUEg6U8d39rEUEmbvLQ5tZQUmJTMyFJ"
"metadata": {
"version": 1,
"gas_profile": null
"receipts_outcome": [
"proof": [
"hash": "8RwCWE9HgqenPKv8JW9eg2iSLMaQW82wvebYSfjPbdTY",
"direction": "Left"
"hash": "E4VXdwsNj3fZCbP6y9YH3M5oZHPDcdArqU9kbZJa95Qp",
"direction": "Right"
"block_hash": "ASY6HgDUQUXUa99L7dPEfghKEnEk5SNkwQrx24u3Fobz",
"id": "JDnBrxh6L9KFgVUEg6U8d39rEUEmbvLQ5tZQUmJTMyFJ",
"outcome": {
"logs": [],
"receipt_ids": [],
"gas_burnt": 209824625000,
"tokens_burnt": "20982462500000000000",
"executor_id": "bumbleee99.near",
"status": {
"SuccessValue": ""
"metadata": {
"version": 1,
"gas_profile": []
"receipts": []
"id": "2"
You could see that both transaction_outcome.outcome.receipt_ids and transaction_outcome.outcome.status are pointing to a receipt with ID JDnBrxh6L9KFgVUEg6U8d39rEUEmbvLQ5tZQUmJTMyFJ. I've tried querying node about this receipt with EXPERIMENTAL_receipt method like this
"jsonrpc": "2.0",
"id": "2",
"method": "EXPERIMENTAL_receipt",
"params": {"receipt_id": "JDnBrxh6L9KFgVUEg6U8d39rEUEmbvLQ5tZQUmJTMyFJ"}
yet the node returns error indicating, that there is no receipt with given ID
"jsonrpc": "2.0",
"error": {
"name": "HANDLER_ERROR",
"cause": {
"info": {
"receipt_id": "JDnBrxh6L9KFgVUEg6U8d39rEUEmbvLQ5tZQUmJTMyFJ"
"code": -32000,
"message": "Server error",
"data": {
"info": {
"receipt_id": "JDnBrxh6L9KFgVUEg6U8d39rEUEmbvLQ5tZQUmJTMyFJ"
"id": "2"
TL;DR the receipt is a local receipt
The transaction from your example is a simple AddKey action where the sender is the receiver (remember this, it's important)
"Execute" transaction (means to convert the transaction into a Receipt)
Apply the Receipts
As the result of the conversion of the transaction into a receipt is your transaction_outcome
"outcome": {
"receipt_ids": [
"status": {
"SuccessReceiptId": "JDnBrxh6L9KFgVUEg6U8d39rEUEmbvLQ5tZQUmJTMyFJ"
This receipt is about to be applied and the predecessor_id and the receiver_id are equal. In nearcore such receipts are called local receipts (sir - sender-is-receiver) and those receipts are not stored in the nearcore database.
We emulate them on NEAR Indexer Framework side (that's why you can see Receipt JDnBrxh6L9KFgVUEg6U8d39rEUEmbvLQ5tZQUmJTMyFJ on the transaction details page on NEAR Explorer)
And because nearcore doesn't store such receipts in the database you got UNKNOWN_RECEIPT from the RPC.

Step Functions ignoring Parameters, executing it with default input

I don't know if this is a bug of my own or Amazon's as I'm unable to properly understand what's going on.
I have the following Step Function (It's currently a work in progress), which takes care of validating an input and then sending it to an SQS lambda (CreateInAuth0 Step).
My problem is that apparently the SQS function is executing with the default parameters, fails, retries and then uses the ones specified in the Step Function. (Or at least that's what I'm gathering from the logs).
I want to know why it is ignoring the Parameters in the first go. Here's all the information I can gather.
There seems to be a difference between TaskStateEntered and TaskScheduled (which I believe it's ok).
"Comment": "Add the students to the platform and optionally adds them to their respective grades",
"StartAt": "AddStudents",
"States": {
"AddStudents": {
"Comment": "Validates that the students are OK",
"Type": "Task",
"Resource": "#AddStudents",
"Next": "Parallel"
"Parallel": {
"Type": "Parallel",
"Next": "FinishExecution",
"Branches": [
"StartAt": "CreateInAuth0",
"States": {
"CreateInAuth0": {
"Type": "Task",
"Resource": "arn:aws:states:::sqs:sendMessage.waitForTaskToken",
"Parameters": {
"QueueUrl": "#SQS_StudentsRegistrationSQSFifo",
"MessageBody": {
"execId.$": "$.result.execId",
"tenantType.$": "$.result.tenantType",
"tenantId.$": "$.result.tenantId",
"studentsToCreate.$": "$.result.newStudents.success",
"TaskToken.$": "$$.Task.Token",
"studentsSucceeded": []
"End": true
"FinishExecution": {
"Comment": "This signals the ending in DynamoDB that the transaction finished",
"Type": "Task",
"End": true,
"Resource": "arn:aws:states:::dynamodb:putItem",
"ResultPath": "$.dynamoDB",
"Parameters": {
"TableName": "#SchonDB",
"Item": {
"pk": {
"S.$": "$.arguments.tenantId:exec:$.id"
"sk": {
"S": "result"
"status": {
"type": {
"Retry": [
"ErrorEquals": [
" States.Timeout"
"IntervalSeconds": 1,
"MaxAttempts": 5,
"BackoffRate": 2.0
"Catch": [
"ErrorEquals": [
"Next": "FinishExecutionIfFinishErrored"
"FinishExecutionIfFinishErrored": {
"Type": "Pass",
"End": true
Here's the visual:
Here's the execution event history:
Note: I have a try/catch statement inside the SQS function that wraps the entire SQS' execution.

Get the trigger that invoked the lambda when it is invoked

I have an AWS lambda with multiple triggers. When the lambda is invoked, I'd like to be able to determine which trigger invoked the lambda within the lambda code itself. Is this information available somehow? I tried looking at the event object and the context object, but I did not see that information available. Is there some api I can call to get the trigger or another way to get that information reliably?
Answering late but may help someone else looking for solution-
As #Leon mentioned, eventSource would work. For example, below are two different payload for s3 and sqs-
"Records": [
"eventVersion": "2.1",
"eventSource": "aws:s3",
"awsRegion": "us-east-2",
"eventTime": "2019-09-03T19:37:27.192Z",
"eventName": "ObjectCreated:Put",
"userIdentity": {
"requestParameters": {
"sourceIPAddress": ""
"responseElements": {
"x-amz-request-id": "D82B88E5F771F645",
"x-amz-id-2": "vlR7PnpV2Ce81l0PRw6jlUpck7Jo5ZsQjryTjKlc5aLWGVHPZLj5NeC6qMa0emYBDXOo6QBU0Wo="
"s3": {
"s3SchemaVersion": "1.0",
"configurationId": "828aa6fc-f7b5-4305-8584-487c791949c1",
"bucket": {
"ownerIdentity": {
"principalId": "A3I5XTEXAMAI3E"
"arn": "arn:aws:s3:::lambda-artifacts-deafc19498e3f2df"
"object": {
"key": "b21b84d653bb07b05b1e6b33684dc11b",
"size": 1305107,
"eTag": "b21b84d653bb07b05b1e6b33684dc11b",
"sequencer": "0C0F6F405D6ED209E1"
"Records": [
"messageId": "11d6ee51-4cc7-4302-9e22-7cd8afdaadf5",
"receiptHandle": "AQEBBX8nesZEXmkhsmZeyIE8iQAMig7qw...",
"body": "Test message.",
"attributes": {
"ApproximateReceiveCount": "1",
"SentTimestamp": "1573251510774",
"SequenceNumber": "18849496460467696128",
"MessageGroupId": "1",
"MessageDeduplicationId": "1",
"ApproximateFirstReceiveTimestamp": "1573251510774"
"messageAttributes": {},
"md5OfBody": "e4e68fb7bd0e697a0ae8f1bb342846b3",
"eventSource": "aws:sqs",
"eventSourceARN": "arn:aws:sqs:us-east-2:123456789012:fifo.fifo",
"awsRegion": "us-east-2"
Now you can use -
source = event['Records'][0]['eventSource']
This should give the resource name, in case of s3 you would get aws:s3, and for sqs- aws:sqs.

Getting started with Step Functions and I can't get Choice to work correctly

Attached: molecular data:
[1]
Computed, not measured: 2 unconnected molecules or ions with the total composition C28H27NO3, with wB97M-V/def2-TZVPD.

Atoms and positions in Å:
H: -4.857 3.655 0.299
H: -2.906 3.697 4.083
H: -0.873 2.826 3.050
H: -3.040 -3.217 -4.455
H: 6.344 0.699 1.503
H: 3.308 -4.180 0.589
H: 6.144 1.230 3.894
H: 1.161 -3.145 4.118
C: 2.345 -3.722 2.439
H: 2.003 1.994 3.389
C: -2.576 -0.525 -5.521
H: -2.169 -0.204 -1.436
C: -1.692 2.784 1.071
H: -0.848 -3.014 -3.264
C: -2.885 3.509 3.023
C: 2.953 1.736 2.955
H: 0.771 2.675 2.046
C: -0.503 -1.510 -1.238
C: 5.282 1.297 3.249
H: -2.790 2.796 -0.744
C: 0.510 -2.281 0.898
H: 4.359 0.831 0.036
H: -4.911 4.104 2.719
H: 3.048 -4.287 3.029
H: -2.846 0.655 -3.697
C: 4.060 1.664 3.770
C: 3.057 1.451 1.596
C: -0.496 2.228 0.393
C: 1.592 -2.957 0.299
C: -0.458 -1.560 0.142
O: -0.626 1.822 -0.756
C: 5.393 0.998 1.906
N: -1.732 -1.097 -3.280
H: -3.760 -0.850 -3.737
C: -1.149 -2.259 -3.997
H: -1.733 -3.689 -5.535
C: -4.010 3.738 2.257
H: -1.251 -1.069 0.680
H: -0.456 -1.881 2.774
O: 1.993 0.958 -0.419
C: 1.284 -3.076 3.049
H: 3.970 1.886 4.820
H: -3.316 0.039 -6.101
C: -3.980 3.487 0.900
C: 0.380 -2.366 2.299
C: -1.501 -0.872 -1.953
H: -1.587 -0.139 -5.788
C: 2.491 -3.662 1.063
C: -1.734 3.031 2.439
C: -2.808 -0.392 -4.016
C: 1.895 1.504 0.674
H: 1.718 -2.925 -0.770
C: -2.830 3.012 0.311
H: 0.270 -2.009 -1.794
C: 0.726 2.171 1.104
C: -2.158 -2.844 -4.985
O: -2.622 -1.892 -5.955
C: 4.290 1.072 1.085
H: -0.245 -1.923 -4.510

Summary:
Largest force on an atom, Eh/bohr: 0.053
LUMO, eV: -1.85
Energy relative to the best compared isomer or geometry (same formula, charge and spin), kcal per mole: 18.65
Highest occupied orbital energy, eV: -6.25

[2]
Computed, not measured: a molecular structure, C28H28BN7O4Re, with wB97M-V/def2-TZVPD.

Atoms and positions in Å:
C: 4.970 2.623 1.814
H: 0.784 3.026 -0.205
C: 1.261 -0.316 5.016
C: 1.764 -3.393 0.172
H: -3.510 -1.286 0.769
H: 3.577 -4.308 0.922
C: 0.433 2.698 -3.947
H: 2.863 3.988 0.908
H: 1.310 0.624 6.994
H: 1.908 1.731 -2.721
C: 0.858 1.860 -2.926
N: 0.469 0.438 -1.044
C: -1.447 1.198 -2.471
C: -3.445 -0.665 -0.121
H: -3.557 -3.973 0.792
C: 1.499 0.994 -0.166
H: -0.541 4.565 -5.387
H: -4.785 -4.883 -0.288
O: -1.228 0.063 2.455
C: -2.113 -3.403 -1.197
N: 1.376 -2.069 -0.094
C: 3.480 -2.067 0.766
C: 1.594 2.391 0.095
C: 3.772 2.077 1.090
H: 1.204 3.301 -4.464
H: -1.658 3.423 -6.230
H: -4.174 1.182 -2.697
C: 2.561 0.156 0.324
H: -2.073 -3.250 -3.258
C: 3.046 -3.390 0.666
B: -0.328 -0.766 1.735
H: 2.302 -0.711 5.148
C: -3.726 -4.784 0.005
H: -5.546 -0.172 -0.719
O: -1.573 -2.974 -0.127
C: -0.928 2.826 -4.255
N: -1.944 -2.721 -2.369
H: 1.218 -4.185 -0.310
H: -2.232 4.376 -4.886
H: 5.442 1.807 2.349
N: 2.493 -1.273 0.362
H: -2.861 1.980 -3.899
H: -2.206 1.398 4.640
O: -2.986 -4.385 -1.189
C: -4.442 -0.122 -0.926
H: 0.026 -2.482 -2.691
C: 2.679 2.927 0.768
N: -0.793 -1.897 -2.454
N: -2.202 -0.244 -0.562
C: -0.742 0.159 3.782
C: -0.598 0.939 6.024
O: 0.768 -1.122 2.640

I'm doctoring up my first step function, and as a newb into this I am struggling to make this work right. The documentation on AWS is helpful but lacks examples of what I am trying understand. I found a couple similar issues on the site here, but they didn't really answer my question either.
I have a test Step Function that works really simply. I have a small Lambda function that kicks out a single line JSON with a "Count" from a request in a DynamoDB:
def lambda_handler(event, context):
Keyword arguments:
event -- dict -- A dict of parameters to be validated.
context --
json object with the hubID from DynamoDB of the new hub.
# Prep the Boto3 resources needed
dynamodb = boto3.resource('dynamodb')
table = dynamodb.Table('TransitHubs')
# By default we assume there are no new hubs
newhub = { 'Count' : 0 }
# Query the DynamoDB to see if the name exists or not:
response = table.query(
if response['Count']:
newhub['Count'] = response['Count']
return json.dumps(newhub)
A normal output would be:
{ "Count": 1 }
And then I create this Step Function:
"StartAt": "Task",
"States": {
"Task": {
"Type": "Task",
"Resource": "arn:aws:lambda:us-west-2:OMGSUPERSECRET:function:LaunchNode-get_new_hubs",
"TimeoutSeconds": 60,
"Next": "Choice"
"Choice": {
"Type": "Choice",
"Choices": [
"Variable": "$.Count",
"NumericEquals": 0,
"Next": "Failed"
"Variable": "$.Count",
"NumericEquals": 1,
"Next": "Succeed"
"Succeed": {
"Type": "Succeed"
"Failed": {
"Type": "Fail"
So I kick off the State Function and I get this output:
"name": "Task",
"output": {
"Count": 1
"name": "Choice",
"input": {
"Count": 1
"error": "States.Runtime",
"cause": "An error occurred while executing the state 'Choice' (entered at the event id #7). Invalid path '$.Count': The choice state's condition path references an invalid value."
So my question: I don't get why this is failing with that error message. Shouldn't Choice just pick up that value from the JSON? Isn't the default "$" input the "input" path?
I have figured out what the issue is, and here it is:
In my Python code, I was attempting to json.dumps(newhub) for the response thinking that what I needed was a string output representing the json formatted response. But it appears that is incorrect. When I alter the code to be simply "return newhub" and return the DICT, the step-functions process accepts that correctly. I'm assuming it parses the DICT to JSON for me? But the output difference is clearly obvious:
old Task output from above returning json.dumps(newhub):
"name": "Task",
"output": {
"Count": 1
new Task output from above returning newhub:
"Count": 1
And the Choice now correctly matches the Count variable in my output.
In case this is helpful for someone else. I also experienced the kind of error you did ( you had the below... just copy-pasting yours... )
"error": "States.Runtime",
"cause": "An error occurred while executing the state 'Choice' (entered at the event id #7). Invalid path '$.Count': The choice state's condition path references an invalid value."
But my problem turned out when I was missing the "Count" key all together.
But I did not want verbose payloads.
But per reading these docs I discovered I can also do...
"Choice": {
"Type": "Choice",
"Choices": [
"And": [
"Variable": "$.Count",
"IsPresent": true
"Variable": "$.Count",
"NumericEquals": 0,
"Next": "Failed"
"And": [
"Variable": "$.Count",
"IsPresent": true
"Variable": "$.Count",
"NumericEquals": 1,
"Next": "Succeed"
even I was facing the same issue. Give the ResultPath as InputPath and give the choice value as .value name
"Comment": "Step function to execute lengthy synchronous requests",
"StartAt": "StartProcessing",
"States": {
"StartProcessing": {
"Type": "Task",
"Resource": "arn:aws:lambda:us-east-1:703569030910:function:shravanthDemo-shravanthGetItems-GHF7ZA1p6auQ",
"InputPath": "$.lambda",
"ResultPath": "$.lambda",
"Next": "VerifyProcessor"
"VerifyProcessor": {
"Type": "Choice",
"Choices": [
"Variable": "$.lambda.cursor",
"IsNull": false,
"Next": "StartProcessing"
"Variable": "$.lambda.cursor",
"IsNull": true,
"Next": "EndOfUpdate"
"EndOfUpdate": {
"Type": "Pass",
"Result": "ProcessingComplete",
"End": true
